This activity was designed for a science classroom with virtually no lab facilities, and a
very tight budget. I set the labs up on the week-end and allow half an hour to forty minutes each
# Unrelated to this article: data records
Starting from a GGA-PBE-relaxed structure, the powder X-ray diffraction pattern of Ho3ScPb5 was computed for λ = 1.5418 Å (Cu Kα).
Kinematic intensities with the Lorentz-polarization factor, no thermal factor.

The 8 most intense peaks (2θ from 10° to 90°), in order of rising 2θ:
d = 2.781 Å, 32.2 deg, rel. 63; d = 2.722 Å, 32.9 deg, rel. 89; d = 2.651 Å, 33.8 deg, rel. 100; d = 2.136 Å, 42.3 deg, rel. 18; d = 1.899 Å, 47.9 deg, rel. 28; d = 1.757 Å, 52.0 deg, rel. 17; d = 1.558 Å, 59.3 deg, rel. 18; d = 1.381 Å, 67.8 deg, rel. 23

Crystal structure
```
data_Ho3ScPb5
_cell_length_a 9.4307
_cell_length_b 9.4307
_cell_length_c 6.4126
_cell_angle_alpha 90.00
_cell_angle_beta 90.00
_cell_angle_gamma 120.00
_symmetry_space_group_name_H-M 'P 1'
_symmetry_Int_Tables_number 1
loop_
_symmetry_equiv_pos_as_xyz
'x,y,z'
loop_
_atom_site_label
_atom_site_type_symbol
_atom_site_fract_x
_atom_site_fract_y
_atom_site_fract_z
Ho1 Ho 0.0000 0.3834 0.2500
Ho2 Ho 0.0000 0.6166 0.7500
Ho3 Ho 0.3834 0.0000 0.2500
Ho4 Ho 0.3834 0.3834 0.7500
Ho5 Ho 0.6166 0.0000 0.7500
Ho6 Ho 0.6166 0.6166 0.2500
Sc1 Sc 0.0000 0.0000 0.0000
Sc2 Sc 0.0000 0.0000 0.5000
Pb1 Pb 0.0000 0.2776 0.7500
Pb2 Pb 0.0000 0.7224 0.2500
Pb3 Pb 0.2776 0.0000 0.7500
Pb4 Pb 0.2776 0.2776 0.2500
Pb5 Pb 0.3333 0.6667 0.0000
Pb6 Pb 0.3333 0.6667 0.5000
Pb7 Pb 0.6667 0.3333 0.0000
Pb8 Pb 0.6667 0.3333 0.5000
Pb9 Pb 0.7224 0.0000 0.2500
Pb10 Pb 0.7224 0.7224 0.7500
```

***

Starting from a GGA-PBE-relaxed structure, the powder X-ray diffraction pattern of HoScPb2 was computed for λ = 1.5418 Å (Cu Kα).
Kinematic intensities with the Lorentz-polarization factor, no thermal factor.

The 8 most intense peaks (2θ from 10° to 90°), in order of rising 2θ:
d = 3.013 Å, 29.6 deg, rel. 40; d = 2.995 Å, 29.8 deg, rel. 100; d = 2.968 Å, 30.1 deg, rel. 60; d = 2.840 Å, 31.5 deg, rel. 91; d = 2.434 Å, 36.9 deg, rel. 53; d = 2.401 Å, 37.5 deg, rel. 91; d = 2.194 Å, 41.1 deg, rel. 99; d = 1.719 Å, 53.3 deg, rel. 43

Crystal structure
```
data_HoScPb2
_cell_length_a 6.2024
_cell_length_b 6.2096
_cell_length_c 11.6899
_cell_angle_alpha 90.00
_cell_angle_beta 103.68
_cell_angle_gamma 90.00
_symmetry_space_group_name_H-M 'P 1'
_symmetry_Int_Tables_number 1
loop_
_symmetry_equiv_pos_as_xyz
'x,y,z'
loop_
_atom_site_label
_atom_site_type_symbol
_atom_site_fract_x
_atom_site_fract_y
_atom_site_fract_z
Ho1 Ho 0.1862 0.1276 0.1285
Ho2 Ho 0.1862 0.8724 0.6285
Ho3 Ho 0.8138 0.1276 0.3715
Ho4 Ho 0.8138 0.8724 0.8715
Sc1 Sc 0.3296 0.3700 0.8783
Sc2 Sc 0.3296 0.6300 0.3783
Sc3 Sc 0.6704 0.3700 0.6217
Sc4 Sc 0.6704 0.6300 0.1217
Pb1 Pb 0.1655 0.3733 0.6112
Pb2 Pb 0.1655 0.6267 0.1112
Pb3 Pb 0.3277 0.1352 0.4008
Pb4 Pb 0.3277 0.8648 0.9008
Pb5 Pb 0.6723 0.1352 0.0992
Pb6 Pb 0.6723 0.8648 0.5992
Pb7 Pb 0.8345 0.3733 0.8888
Pb8 Pb 0.8345 0.6267 0.3888
```

***

Starting from a GGA-PBE-relaxed structure, the powder X-ray diffraction pattern of Ho6PbSe5 was computed for λ = 1.5418 Å (Cu Kα).
day, during the week for students to run their investigations. This allows for review and closure
........
Simulated powder diffractogram of Li2MnCoO4 for copper Kα, from a crystal structure in the Materials Project, relaxed with GGA+U.
Peak positions follow from Bragg's law for the DFT cell and can differ from measured ones.

Structure:
```
Li2MnCoO4
1.0
5.274 0.000 0.000
0.000 2.876 0.000
-1.369 0.000 9.774
Li Mn Co O
4 2 2 8
direct
0.126 0.250 0.122
0.374 0.750 0.371
0.626 0.250 0.629
0.874 0.750 0.878
0.137 0.750 0.630
0.863 0.250 0.370
0.387 0.250 0.879
0.613 0.750 0.121
0.022 0.250 0.742
0.236 0.250 0.512
0.264 0.750 0.998
0.498 0.750 0.755
0.502 0.250 0.245
0.736 0.250 0.002
0.764 0.750 0.488
0.978 0.750 0.258
```

The 12 most intense peaks (10° ≤ 2θ ≤ 90°), in order of rising 2θ:
18.11 deg, I = 100, hkl 1 0 -1
34.40 deg, I = 17, hkl 1 0 3
36.24 deg, I = 26, hkl 0 1 2
36.74 deg, I = 10, hkl 2 0 -2
37.45 deg, I = 9, hkl 1 1 1
41.40 deg, I = 30, hkl 2 0 2
43.93 deg, I = 50, hkl 1 1 -3
46.99 deg, I = 11, hkl 2 1 0
57.68 deg, I = 9, hkl 2 1 -4
61.89 deg, I = 15, hkl 3 1 -1
62.00 deg, I = 15, hkl 1 1 5
62.92 deg, I = 7, hkl 2 0 -6

* * * * *

Simulated PXRD pattern of Cu3P4S3Br3 for a wavelength of 1.5418 Å, from a structure optimized by DFT (PBE).
Kinematic intensities with the Lorentz-polarization factor, no thermal factor.

Top 12 peaks for 15° ≤ 2θ ≤ 90°, sorted by position:
20.3 deg, rel. 85, (2 2 0)
20.8 deg, rel. 56, (4 1 0)
22.9 deg, rel. 54, (1 2 1)
24.3 deg, rel. 46, (2 2 1)
26.1 deg, rel. 50, (4 2 0)
27.3 deg, rel. 100, (1 0 2)
28.4 deg, rel. 70, (6 0 0)
29.4 deg, rel. 70, (4 2 1)
30.3 deg, rel. 60, (0 3 1)
47.3 deg, rel. 99, (3 2 3)
49.9 deg, rel. 62, (4 5 0)
51.8 deg, rel. 62, (10 2 0)

Crystal structure
```
data_Cu3P4S3Br3
_symmetry_space_group_name_H-M 'P n m a'
_symmetry_Int_Tables_number 62
_cell_length_a 18.886
_cell_length_b 9.898
_cell_length_c 6.632
_cell_angle_alpha 90.00
_cell_angle_beta 90.00
_cell_angle_gamma 90.00
loop_
_symmetry_equiv_pos_as_xyz
'x,y,z'
'-x,-y,-z'
'-x+1/2,-y,z+1/2'
'x+1/2,y,-z+1/2'
'x+1/2,-y+1/2,-z+1/2'
'-x+1/2,y+1/2,z+1/2'
'-x,y+1/2,-z'
'x,-y+1/2,z'
loop_
_atom_site_label
_atom_site_type_symbol
_atom_site_fract_x
_atom_site_fract_y
_atom_site_fract_z
Cu1 Cu 0.133 0.250 0.005
Cu2 Cu 0.183 0.018 0.511
P1 P 0.022 0.250 0.100
P2 P 0.114 0.635 0.652
P3 P 0.152 0.750 0.925
S1 S 0.008 0.585 0.715
S2 S 0.062 0.750 0.112
Br1 Br 0.152 0.250 0.639
Br2 Br 0.196 0.048 0.144
```

* * * * *

[1]
Theoretical PXRD pattern
Compound: Li3Mn8O16
Radiation: CuKα
Structure: DFT lattice parameters and positions (PBE+U)
Intensities are scaled so that the largest is 100.

Cell and atoms:
a = 5.976 Å, b = 12.067 Å, c = 8.191 Å
α = 90.00°, β = 90.00°, γ = 90.00°
Space group Pmmn (No. 59, origin choice 2)
Unique sites:
Li (0.250, 0.007, 0.129) x4
Li (0.250, 0.750, 0.369) x2
Mn (0.000, 0.000, 0.500) x4
Mn (0.001, 0.750, 0.999) x4
Mn (0.250, 0.124, 0.753) x4
Mn (0.250, 0.628, 0.747) x4
O (0.014, 0.250, 0.769) x4
O (0.024, 0.512, 0.735) x8
O (0.037, 0.750, 0.760) x4
O (0.250, 0.104, 0.519) x4
O (0.250, 0.139, 0.988) x4
........
time at the end of the period.
Students are put into six groups and each group rotates to a different table (lab). For
ease of facilitating the lab, all supplies and materials are placed in boxes that students retrieve
from the supply area at the beginning of the period and return at the end of the period.
The labs cover bouyant forces; magnetical force; electrical force (static); gravitational
force; elastic force; and frictional force.
Students need to be able to identify the AGENT: object that is having a noticable effect
on another object; RECEIVER: object getting the force; and EFFECT: the effect of the force or
what happens when the agent acts on the receiver.
Each lab has a Lab Sheet that gives the materials needed, directions for completing the
investigation, and questions for students to answer.STATION #1
bucket of water
beaker or cupWhat to do:
1. Push the empty beaker or cup slowly into the bucket of water. Keep the open end of the beaker
or cup facing up.
2. Then, submerge the beaker of cup. Let the water fill the beaker or cup.
3. Remove the beaker or cup from the water.In your Notebook:
Label as Station #1
A) Identify the agent
B) Indentify the receiver
C) Indentify the effect
D) What forces did you feel at each step?
E) Which type of force does this station demonstrate?STATION #2
5 paper clips
magnetWhat to do:
1. Place the paper clips on the paper and place the beaker/cup, upside-down on top of the paper
clips.2. Bring the magnet near the beaker/cup until you can attract one or more clips.
(if one person does not succede, allow others to try or brainstorm different ways to do this)
3. Try to lift the paper clip(s) to the top of the beaker/cup.
4. Still hold the clips at the top of the cup, then have someone lift the cup off of the paper.In your Notebook:
A) Identify the agent
B) Indentify the receiver
C) Indentify the effect
D0 What type of force(s) does this station demonstrate?STATION #3
plastic bag
wool sock
rulerWhat to do:
1. Cut two one inch wide strips from the bag. The strips need to be at least 12 inches long.
2. With one hand, hold up the strips. Observe thema s they hang.
3. Now rub the wool sock on both sides of the strips. Allow the strips to hang freely again.
Observe and forces at work.
4. Bring one of the strips near the table. Observe what happens.
5. Throw your stips in the trash when you are done.In your Notebook:
A) Indentify the agent
B) Identify the receiver
C) Indentify the effect
D) What happened at steps 3 and 4?
E) What type of force(s) does this station demonstrate?STATION #4
sheets of paperWhat to do:
1. One at a time, drop a piece of flat paper; a paper folded into fourths; and a paper that has been
What comes next are data records, not part of the text:
<<<
[1]
Starting from a GGA-PBE-relaxed structure, the XRD peak list of NaLiZnS2 was simulated for Cu Ka.

Crystal structure
Cell: 3.982 3.982 6.824 Å, 90.00 90.00 120.00°
Atoms (fractional coordinates):
1 Na 0.000 0.000 0.000
2 Li 0.333 0.667 0.330
3 Zn 0.667 0.333 0.585
4 S 0.333 0.667 0.708
5 S 0.667 0.333 0.246

Most intense lines, 15° ≤ 2θ ≤ 90°, in order of falling intensity:
2θ 29.01, I 100; 2θ 45.56, I 61; 2θ 25.84, I 61; 2θ 47.91, I 54; 2θ 37.07, I 49; 2θ 26.12, I 22; 2θ 85.95, I 19; 2θ 68.26, I 18; 2θ 53.27, I 16; 2θ 61.94, I 16

***

[2]
Starting from a GGA-PBE-relaxed structure, the XRD peak list of K2ZnH8N4 was simulated for Cu Ka.

Crystal structure
Cell: 7.719 7.330 13.451 Å, 90.00 106.06 90.00°
Atoms (fractional coordinates):
1 K 0.074 0.119 0.397
2 K 0.074 0.381 0.897
3 K 0.422 0.630 0.101
4 K 0.422 0.870 0.601
5 K 0.578 0.130 0.399
6 K 0.578 0.370 0.899
7 K 0.926 0.619 0.103
8 K 0.926 0.881 0.603
9 Zn 0.205 0.220 0.151
10 Zn 0.205 0.280 0.651
11 Zn 0.795 0.720 0.349
12 Zn 0.795 0.780 0.849
13 H 0.084 0.618 0.482
14 H 0.084 0.882 0.982
15 H 0.136 0.727 0.391
16 H 0.136 0.773 0.891
17 H 0.149 0.590 0.734
18 H 0.149 0.910 0.234
19 H 0.165 0.034 0.784
20 H 0.165 0.466 0.284
21 H 0.355 0.585 0.735
22 H 0.355 0.915 0.235
23 H 0.361 0.122 0.016
24 H 0.361 0.378 0.516
25 H 0.372 0.032 0.785
26 H 0.372 0.468 0.285
27 H 0.500 0.237 0.103
28 H 0.500 0.263 0.603
29 H 0.500 0.737 0.397
30 H 0.500 0.763 0.897
31 H 0.628 0.532 0.715
32 H 0.628 0.968 0.215
33 H 0.639 0.622 0.484
34 H 0.639 0.878 0.984
35 H 0.645 0.085 0.765
36 H 0.645 0.415 0.265
37 H 0.835 0.534 0.716
38 H 0.835 0.966 0.216
39 H 0.851 0.090 0.766
40 H 0.851 0.410 0.266
41 H 0.864 0.227 0.109
42 H 0.864 0.273 0.609
43 H 0.916 0.118 0.018
44 H 0.916 0.382 0.518
45 N 0.058 0.739 0.442
46 N 0.058 0.761 0.942
47 N 0.245 0.041 0.735
48 N 0.245 0.459 0.235
49 N 0.257 0.502 0.748
50 N 0.257 0.998 0.248
51 N 0.373 0.245 0.054
52 N 0.373 0.255 0.554
53 N 0.627 0.745 0.446
54 N 0.627 0.755 0.946
55 N 0.743 0.002 0.752
56 N 0.743 0.498 0.252
57 N 0.755 0.541 0.765
58 N 0.755 0.959 0.265
59 N 0.942 0.239 0.058
60 N 0.942 0.261 0.558

Most intense lines, 15° ≤ 2θ ≤ 90°, in order of falling intensity:
2θ 17.01, I 100; 2θ 32.05, I 56; 2θ 33.67, I 51; 2θ 15.49, I 49; 2θ 39.42, I 36; 2θ 33.32, I 34; 2θ 20.57, I 32; 2θ 26.92, I 30; 2θ 30.94, I 28; 2θ 29.49, I 27

***

[3]
Starting from a GGA-PBE-relaxed structure, the XRD peak list of PrSbO4 was simulated for Cu Ka.

Crystal structure
Cell: 5.400 5.182 13.882 Å, 90.00 110.76 90.00°
Atoms (fractional coordinates):
1 Pr 0.160 0.224 0.165
2 Pr 0.160 0.276 0.665
3 Pr 0.840 0.724 0.335
4 Pr 0.840 0.776 0.835
5 Sb 0.424 0.249 0.430
6 Sb 0.424 0.251 0.930
7 Sb 0.576 0.749 0.070
8 Sb 0.576 0.751 0.570
9 O 0.095 0.116 0.327
10 O 0.095 0.384 0.827
11 O 0.250 0.566 0.464
12 O 0.250 0.934 0.964
13 O 0.349 0.070 0.550
14 O 0.349 0.430 0.050
15 O 0.484 0.607 0.683
16 O 0.484 0.893 0.183
17 O 0.516 0.107 0.817
18 O 0.516 0.393 0.317
19 O 0.651 0.570 0.950
>>>
crumpled into a ball.
2. Drop any two at a time, from the same height.
3. Drop all three at a time, fromt he same height.In your Notebook:
A) Indentify the agent
B) Indentify the receiver
C) Indentify the effect
D) Which paper fell the slowest? Why?
E) What type of forces doe this station demonstrate?STATION #5
3 text books
ramp (board or thin book)
bottle or cylinder
towelWhat to do: (do this on the floor)
1. Set up a ramp that is the height of three books.
2. Place the newspaper under the lower end of the ramp so that it extends beyone the ramp.
3. Roll the bottle or cylinder down the ramp. Measure how far it goes.
4. Repeat the demonstration, except place the towel under the ramp, instead of the newspaper.In your Notebook:
A) Indentify the agent
B) Indentify the receiver
C) Indentify the effect
D) record and label the measurements
E) What type of force(s) did this station demonstrate?STATION #6
rubber band
book with string around it
book without string around it
paper clip
meter stickWhat to do:
1. Attach the rubber band to the paper clip.
2. Attach the paper clip to the string around the book
3. Place the book on the table so that when stretched, the end of the rubber band is off of the
edge of the table.
4. Slowly pull the end of the rubber band until the book starts to move.
(be sure to keep the rubber band level with the book)
5. Measure in cm, the length of the rubber band when the book began to move.
6. Place another book on top of the book with the string and repeat steps 3, 4, and 5.In your Notebook:
A) Identify the agent
B) Indentify the receiver
C) Indentify the effect
D) record and label the measurements for both demonstrations
E) What type of force(s) did this station demonstrate?
(**TEACHER NOTE: if Newton's Laws or other related concepts have been previously introduced
you may wish to ask students to identify those also.)